Input =
/*
1.
Diffraction record for SmPuHg4. The X-ray powder pattern is calculated, not measured: it uses a GGA-PBE-relaxed structure and copper Kα.

Peak list (10 most intense, 2θ = 10–80°, in order of rising 2θ)
(1 0 0), 27.1°, 3.285 Å, I = 8.0
(1 1 1), 34.0°, 2.635 Å, I = 95.8
(0 2 0), 35.2°, 2.549 Å, I = 100.0
(1 2 0), 45.0°, 2.014 Å, I = 12.8
(1 0 4), 49.8°, 1.832 Å, I = 33.4
(2 0 0), 56.0°, 1.642 Å, I = 9.0
(1 2 4), 62.4°, 1.488 Å, I = 34.2
(0 3 3), 63.2°, 1.471 Å, I = 12.6
(2 2 0), 67.9°, 1.381 Å, I = 30.6
(0 2 6), 74.4°, 1.275 Å, I = 8.0

Cell and atoms:
Cell lengths 3.285, 5.095, 8.833 Å; angles 90.00, 90.00, 90.00 degrees
Space group Pmmm (No. 47)
Inequivalent atoms, fractional coordinates:
Sm (0.000, 0.000, 0.000)
Pu (0.000, 0.500, 0.500)
Hg (0.500, 0.000, 0.333)
Hg (0.500, 0.500, 0.166)



2.
Diffraction record for Sr2La6Tc. The X-ray powder pattern is calculated, not measured: it uses a GGA-PBE-relaxed structure and copper Kα.

Peak list (10 most intense, 2θ = 10–80°, in order of rising 2θ)
(1 0 -1), 10.7°, 8.260 Å, I = 100.0
(1 1 0), 24.4°, 3.654 Å, I = 42.4
(2 0 -3), 27.2°, 3.277 Å, I = 54.7
(0 1 2), 28.8°, 3.099 Å, I = 55.3
(2 1 -1), 29.2°, 3.058 Å, I = 64.0
(3 0 0), 31.1°, 2.876 Å, I = 62.4
(1 1 2), 33.1°, 2.707 Å, I = 32.2
(0 1 3), 35.6°, 2.520 Å, I = 35.8
(0 2 0), 44.9°, 2.017 Å, I = 29.6
(4 1 -4), 49.6°, 1.838 Å, I = 29.6

Cell and atoms:
Cell lengths 9.390, 4.035, 10.535 Å; angles 90.00, 113.23, 90.00 degrees
Space group P2/m (No. 10)
Inequivalent atoms, fractional coordinates:
Sr (0.204, 0.000, 0.339)
La (0.149, 0.500, 0.643)
La (0.189, 0.500, 0.966)
La (0.466, 0.000, 0.802)
Tc (0.500, 0.500, 0.000)



3.
Diffraction record for BaAs4Pt5. The X-ray powder pattern is calculated, not measured: it uses a GGA-PBE-relaxed structure and copper Kα.

Peak list (10 most intense, 2θ = 10–80°, in order of rising 2θ)
(1 1 0), 13.9°, 6.361 Å, I = 74.6
(2 2 0), 28.1°, 3.180 Å, I = 58.3
(0 3 1), 29.6°, 3.017 Å, I = 100.0
(2 1 1), 32.1°, 2.785 Å, I = 40.1
(2 2 1), 34.6°, 2.592 Å, I = 48.1
(2 3 1), 38.4°, 2.343 Å, I = 73.7
(3 0 1), 41.6°, 2.169 Å, I = 49.9
(0 2 2), 43.1°, 2.101 Å, I = 94.2
(0 6 0), 44.3°, 2.044 Å, I = 82.9
(2 5 1), 48.9°, 1.861 Å, I = 70.8

Cell and atoms:
Cell lengths 7.440, 12.260, 4.472 Å; angles 90.00, 90.00, 90.00 degrees
Space group Pmmn (No. 59, origin choice 2)
Inequivalent atoms, fractional coordinates:
Ba (0.250, 0.250, 0.052)
As (0.067, 0.750, 0.483)
As (0.250, 0.527, 0.765)
Pt (0.050, 0.566, 0.247)
Pt (0.250, 0.750, 0.987)



4.
Diffraction record for Co2Au2N. The X-ray powder pattern is calculated, not measured: it uses a GGA-PBE-relaxed structure and copper Kα.

Peak list (10 most intense, 2θ = 10–80°, in order of rising 2θ)
(1 0 0), 18.8°, 4.713 Å, I = 100.0
(1 1 0), 26.8°, 3.333 Å, I = 24.5
(0 0 2), 35.4°, 2.535 Å, I = 21.2
(2 0 0), 38.2°, 2.356 Å, I = 34.5
(1 0 2), 40.4°, 2.233 Å, I = 30.7
(2 1 0), 42.9°, 2.108 Å, I = 26.0
(1 1 2), 44.9°, 2.018 Å, I = 12.7
(2 0 2), 53.1°, 1.726 Å, I = 26.3
(2 1 2), 56.8°, 1.621 Å, I = 23.1
(2 2 2), 67.2°, 1.392 Å, I = 12.8

Cell and atoms:
Cell lengths 4.713, 4.713, 5.071 Å; angles 90.00, 90.00, 90.00 degrees
Space group P4/mmm (No. 123)
Inequivalent atoms, fractional coordinates:
Co (0.000, 0.500, 0.000)
Au (0.000, 0.000, 0.000)
Au (0.000, 0.000, 0.500)
N (0.500, 0.500, 0.500)



5.
Diffraction record for Th2FeSi3. The X-ray powder pattern is calculated, not measured: it uses a GGA-PBE-relaxed structure and copper Kα.

Peak list (10 most intense, 2θ = 10–80°, in order of rising 2θ)
(0 1 1), 22.1°, 4.026 Å, I = 28.8
(1 0 1), 22.9°, 3.880 Å, I = 21.0
(0 0 4), 25.2°, 3.528 Å, I = 25.2
(0 1 3), 28.5°, 3.133 Å, I = 25.8
(1 0 3), 29.2°, 3.063 Å, I = 29.4
(1 1 2), 33.3°, 2.690 Å, I = 100.0
(0 1 5), 38.4°, 2.343 Å, I = 19.2
(1 0 5), 38.9°, 2.313 Å, I = 21.7
(0 2 0), 43.1°, 2.100 Å, I = 16.1
(0 2 4), 50.6°, 1.804 Å, I = 22.5

Cell and atoms:
Cell lengths 4.035, 4.200, 14.113 Å; angles 90.00, 90.00, 90.00 degrees
Space group Imm2 (No. 44)
*/

Assignment =
Copy the whole of the calculation results above verbatim.

Written answer =
1.
Diffraction record for SmPuHg4. The X-ray powder pattern is calculated, not measured: it uses a GGA-PBE-relaxed structure and copper Kα.

Peak list (10 most intense, 2θ = 10–80°, in order of rising 2θ)
(1 0 0), 27.1°, 3.285 Å, I = 8.0
(1 1 1), 34.0°, 2.635 Å, I = 95.8
(0 2 0), 35.2°, 2.549 Å, I = 100.0
(1 2 0), 45.0°, 2.014 Å, I = 12.8
(1 0 4), 49.8°, 1.832 Å, I = 33.4
(2 0 0), 56.0°, 1.642 Å, I = 9.0
(1 2 4), 62.4°, 1.488 Å, I = 34.2
(0 3 3), 63.2°, 1.471 Å, I = 12.6
(2 2 0), 67.9°, 1.381 Å, I = 30.6
(0 2 6), 74.4°, 1.275 Å, I = 8.0

Cell and atoms:
Cell lengths 3.285, 5.095, 8.833 Å; angles 90.00, 90.00, 90.00 degrees
Space group Pmmm (No. 47)
Inequivalent atoms, fractional coordinates:
Sm (0.000, 0.000, 0.000)
Pu (0.000, 0.500, 0.500)
Hg (0.500, 0.000, 0.333)
Hg (0.500, 0.500, 0.166)



2.
Diffraction record for Sr2La6Tc. The X-ray powder pattern is calculated, not measured: it uses a GGA-PBE-relaxed structure and copper Kα.

Peak list (10 most intense, 2θ = 10–80°, in order of rising 2θ)
(1 0 -1), 10.7°, 8.260 Å, I = 100.0
(1 1 0), 24.4°, 3.654 Å, I = 42.4
(2 0 -3), 27.2°, 3.277 Å, I = 54.7
(0 1 2), 28.8°, 3.099 Å, I = 55.3
(2 1 -1), 29.2°, 3.058 Å, I = 64.0
(3 0 0), 31.1°, 2.876 Å, I = 62.4
(1 1 2), 33.1°, 2.707 Å, I = 32.2
(0 1 3), 35.6°, 2.520 Å, I = 35.8
(0 2 0), 44.9°, 2.017 Å, I = 29.6
(4 1 -4), 49.6°, 1.838 Å, I = 29.6

Cell and atoms:
Cell lengths 9.390, 4.035, 10.535 Å; angles 90.00, 113.23, 90.00 degrees
Space group P2/m (No. 10)
Inequivalent atoms, fractional coordinates:
Sr (0.204, 0.000, 0.339)
La (0.149, 0.500, 0.643)
La (0.189, 0.500, 0.966)
La (0.466, 0.000, 0.802)
Tc (0.500, 0.500, 0.000)



3.
Diffraction record for BaAs4Pt5. The X-ray powder pattern is calculated, not measured: it uses a GGA-PBE-relaxed structure and copper Kα.

Peak list (10 most intense, 2θ = 10–80°, in order of rising 2θ)
(1 1 0), 13.9°, 6.361 Å, I = 74.6
(2 2 0), 28.1°, 3.180 Å, I = 58.3
(0 3 1), 29.6°, 3.017 Å, I = 100.0
(2 1 1), 32.1°, 2.785 Å, I = 40.1
(2 2 1), 34.6°, 2.592 Å, I = 48.1
(2 3 1), 38.4°, 2.343 Å, I = 73.7
(3 0 1), 41.6°, 2.169 Å, I = 49.9
(0 2 2), 43.1°, 2.101 Å, I = 94.2
(0 6 0), 44.3°, 2.044 Å, I = 82.9
(2 5 1), 48.9°, 1.861 Å, I = 70.8

Cell and atoms:
Cell lengths 7.440, 12.260, 4.472 Å; angles 90.00, 90.00, 90.00 degrees
Space group Pmmn (No. 59, origin choice 2)
Inequivalent atoms, fractional coordinates:
Ba (0.250, 0.250, 0.052)
As (0.067, 0.750, 0.483)
As (0.250, 0.527, 0.765)
Pt (0.050, 0.566, 0.247)
Pt (0.250, 0.750, 0.987)



4.
Diffraction record for Co2Au2N. The X-ray powder pattern is calculated, not measured: it uses a GGA-PBE-relaxed structure and copper Kα.

Peak list (10 most intense, 2θ = 10–80°, in order of rising 2θ)
(1 0 0), 18.8°, 4.713 Å, I = 100.0
(1 1 0), 26.8°, 3.333 Å, I = 24.5
(0 0 2), 35.4°, 2.535 Å, I = 21.2
(2 0 0), 38.2°, 2.356 Å, I = 34.5
(1 0 2), 40.4°, 2.233 Å, I = 30.7
(2 1 0), 42.9°, 2.108 Å, I = 26.0
(1 1 2), 44.9°, 2.018 Å, I = 12.7
(2 0 2), 53.1°, 1.726 Å, I = 26.3
(2 1 2), 56.8°, 1.621 Å, I = 23.1
(2 2 2), 67.2°, 1.392 Å, I = 12.8

Cell and atoms:
Cell lengths 4.713, 4.713, 5.071 Å; angles 90.00, 90.00, 90.00 degrees
Space group P4/mmm (No. 123)
Inequivalent atoms, fractional coordinates:
Co (0.000, 0.500, 0.000)
Au (0.000, 0.000, 0.000)
Au (0.000, 0.000, 0.500)
N (0.500, 0.500, 0.500)



5.
Diffraction record for Th2FeSi3. The X-ray powder pattern is calculated, not measured: it uses a GGA-PBE-relaxed structure and copper Kα.

Peak list (10 most intense, 2θ = 10–80°, in order of rising 2θ)
(0 1 1), 22.1°, 4.026 Å, I = 28.8
(1 0 1), 22.9°, 3.880 Å, I = 21.0
(0 0 4), 25.2°, 3.528 Å, I = 25.2
(0 1 3), 28.5°, 3.133 Å, I = 25.8
(1 0 3), 29.2°, 3.063 Å, I = 29.4
(1 1 2), 33.3°, 2.690 Å, I = 100.0
(0 1 5), 38.4°, 2.343 Å, I = 19.2
(1 0 5), 38.9°, 2.313 Å, I = 21.7
(0 2 0), 43.1°, 2.100 Å, I = 16.1
(0 2 4), 50.6°, 1.804 Å, I = 22.5

Cell and atoms:
Cell lengths 4.035, 4.200, 14.113 Å; angles 90.00, 90.00, 90.00 degrees
Space group Imm2 (No. 44)